_Excerpt_
____________
[1]
A molecular structure, C5H8O. Source: OMol25; level of theory: wB97M-V/def2-TZVPD.

Each line ends with the Mulliken charge.
CARTESIAN COORDINATES (ANGSTROEM)
C: 0.326 -0.968 -1.029  -0.566
C: 0.084 -1.558 0.288  -0.552
C: -0.143 -0.026 0.013  0.539
C: 0.560 1.029 0.678  -0.423
O: -0.470 1.898 0.761  -0.382
C: -1.340 0.913 0.112  -0.267
H: 1.741 0.070 -1.130  0.013
H: -0.397 -1.236 -1.808  0.165
H: -0.764 -2.220 0.503  0.251
H: 0.918 -1.704 0.977  0.216
H: 1.356 1.103 1.419  0.421
H: 2.011 0.785 -0.781  0.074
H: -2.120 0.612 0.816  0.253
H: -1.761 1.301 -0.820  0.258

Forces on atoms 1 to 2 (eV/Å):
-0.2 0.0 0.0
0.1 -0.2 0.1

Results
**Gap between HOMO and LUMO (spin up / spin down)**: 7.707 / 7.275 eV
**Calculated total energy**: -7355.2580 eV

=====

[2]
A molecular structure, C3H3CaFO4. Source: OMol25; level of theory: wB97M-V/def2-TZVPD.

Each line ends with the Mulliken charge.
CARTESIAN COORDINATES (ANGSTROEM)
C: -3.548 0.528 -0.072  0.160
C: -2.492 0.018 -0.985  -0.181
O: -1.542 -0.697 -0.324  -0.261
O: -4.546 1.201 -0.413  0.088
H: -3.492 0.441 1.025  0.404
H: -2.047 0.873 -1.544  0.390
H: -2.962 -0.602 -1.781  0.373
F: -4.570 1.432 -1.784  0.004
C: 0.784 -0.783 0.305  0.414
O: 1.526 -1.608 0.666  0.325
Ca: 3.528 -3.087 2.352  1.845
O: 1.635 -2.747 1.415  -0.561

Forces on atoms 1 to 2 (eV/Å):
0.1 0.5 0.3
0.0 -0.3 -0.2

Results
**Gap between HOMO and LUMO (spin up / spin down)**: 9.779 / 8.934 eV
**Calculated total energy**: -32462.2702 eV
**Multiplicity**: 2
**Charge**: +3
**<S²>**: 0.7537

=====

[3]
2 unconnected molecules or ions with the total composition C5H8O2. Source: OMol25; level of theory: wB97M-V/def2-TZVPD.

Each line ends with the Mulliken charge.
CARTESIAN COORDINATES (ANGSTROEM)
C: -0.149 -1.634 -0.531  -0.679
C: 0.625 -0.753 0.126  -0.186
C: 0.158 0.607 0.547  -0.272
C: -1.143 0.641 1.281  -0.007
O: -2.110 -0.035 0.985  -0.460
H: -0.991 -1.304 -1.145  0.236
H: 0.092 -2.698 -0.532  0.269
H: 1.593 -1.079 0.519  0.335
H: 0.900 1.117 1.186  0.348
H: 0.051 1.261 -0.373  0.117
H: -1.166 1.286 2.186  0.305
C: 1.942 0.863 -2.629  -0.096
O: 1.102 1.738 -2.540  -0.414
H: 2.930 0.958 -2.130  0.254
H: 1.773 -0.037 -3.256  0.249

Forces on atoms 1 to 2 (eV/Å):
0.6 0.5 -0.3
-0.5 -1.0 0.2

Results
**Gap between HOMO and LUMO**: 10.232 eV
**Calculated total energy**: -9407.2648 eV

=====

[4]
8 unconnected molecules or ions with the total composition C48H116O28P4. Source: OMol25; level of theory: wB97M-V/def2-TZVPD.

Each line ends with the Mulliken charge.
CARTESIAN COORDINATES (ANGSTROEM)
C: -4.280 -2.003 4.931  -1.098
C: -5.291 -2.506 3.864  -0.336
O: -4.984 -1.931 2.616  -0.147
P: -5.403 -2.765 1.215  0.282
O: -6.100 -4.037 1.492  -0.790
O: -6.215 -1.673 0.321  -0.397
C: -6.069 -0.280 0.593  -0.669
C: -4.727 0.219 0.079  0.282
O: -4.035 -3.017 0.298  0.387
C: -3.901 -4.155 -0.604  0.361
C: -4.836 -4.114 -1.824  -1.224
H: -4.346 -2.707 5.760  0.395
H: -3.275 -2.177 4.547  0.233
H: -4.472 -0.999 5.310  0.299
H: -5.153 -3.572 3.685  0.361
H: -6.306 -2.164 4.067  0.288
H: -6.900 0.265 0.146  0.465
H: -6.142 -0.023 1.650  0.304
H: -4.617 0.081 -0.997  0.243
H: -4.701 1.295 0.247  -0.328
H: -3.898 -0.216 0.637  0.068
H: -2.847 -4.066 -0.868  -0.305
H: -3.928 -5.045 0.024  0.313
H: -5.916 -4.222 -1.727  0.378
H: -4.608 -3.200 -2.373  0.284
H: -4.633 -4.907 -2.544  0.377
C: -1.984 5.069 -1.300  -0.773
C: -1.880 6.193 -2.299  -0.482
O: -0.533 6.515 -2.279  0.026
P: -0.018 7.717 -3.133  0.700
O: -0.827 8.947 -2.834  -0.577
O: 1.568 7.686 -2.751  -0.441
C: 1.924 7.643 -1.365  -0.209
C: 1.375 8.920 -0.791  -0.857
O: -0.126 7.267 -4.740  -0.381
C: -0.178 8.309 -5.721  -0.171
C: -1.503 8.270 -6.431  -1.186
H: -1.101 4.450 -1.457  0.244
H: -1.871 5.500 -0.305  0.155
H: -2.880 4.462 -1.434  0.260
H: -2.141 5.936 -3.325  0.344
H: -2.468 7.104 -2.184  0.424
H: 1.680 6.746 -0.797  0.215
H: 3.013 7.611 -1.402  0.330
H: 1.289 9.730 -1.515  0.238
H: 0.399 8.609 -0.418  0.096
H: 1.971 9.311 0.034  0.476
H: -0.085 9.284 -5.243  0.293
____________
_What to do_
Say how many lines of the entries above hold the word "Gap", as a bare number.
_Reply_
3